I met Jackson in the 8th grade. Many of you may be asking, what! no wonder they are such wonderful men, influencing one another for that long. Yes, i know. It's a shock. Believe it of not, Jackson and I where on the same team at Virginia Tech's soccer camp our 8th grade year. In those days, we loved many things including; Afroman, being vulgar, and playing soccer. We would sit in our room before every practice session and listen to Colt 45 by Afroman. I loved Jackson, and for that week we were tight. Interestingly enough, I had a blog at that time on xanga.com. So, in a moment of inspiration, I went back to look at it and found an entry about Jackson, and this is what it said;
Hello, I have been doing things so i havnt written in here for a while. Evan and gantt wanted me to say that they did the herb shop gap, so there you are. so these past days i have been at virginia tech, which is cooler than uva. i was there for soccer camp and it was fun, yada, yada, yada so i made all these hip new friends that are so kick butt its like a kung foo movie and i will enter the coolest line said all week by friend jackson, "Lace up your kick's bitches we're gonna ball." it was funny at the time at least...yeah so now im back and i am ...back, so go do something other than read my xanga. Lacing up my kick's....bitchs, Mr. Todd |
It is interesting how many people in our house rip on Jackson all the time (myself included). Why is this you may ask yourself? Well, I think it's because of Jackson's carefree spirit. He is hilarious, and it allows us to comment on it all the time. He is a man of two distinct sides; a light-hearteded and a deep side. Many may only see the former, but I will be the first to tell you that the latter is just as awesome. It is easy to overlook the wisdom that Jackson holds. But, as a warning to everyone reading, you will miss out on a huge part of a great man if you don't pursue that side of him. It is interesting with the dynamics of our house, and everyone holds a different place in my heart. Jackson holds a place of hilarity and of soul. A place of quiet grace and love. A place that I go when I know i will be appreciated and loved for who I am, where I've been, and where I will be. Anyone who has been around Jackson can tell you of the atmosphere that follows him everywhere. It is an aura of joy. A joy to live, to be alive, and to have new life in Jesus Christ. I envy this about Jackson, a happiness that exudes from his very pores. It is wonderful to walk into someones presence and be happy, just because they are there. Jackson is that man for me. He makes me laugh, makes me smile, and makes feel totally at ease.
I cannot quite place what it is about Jackson that allows me to feel an innate connection with him. I think it is that we are very easy going a lot of the time. Granted, Jackson doesn't like to rebellious things as I do, but the way he goes about life is something I identify with. A, "go with the flow" philosophy if you will. This is accentuated in Jackson's style. Jackson is wavy. So wavy. It's the best. he breaks up the hipster and prep style that punctuats our house. Jackson is who he is, and that's what I love about him. Sweatshirts, beanie, khakis, and multicolored or dirty Ralph Lauren shoes.
Jackson and I have been through a lot. We have had some tears. We have had many deep conversations. And we have had even more laughs. But, I can honestly say that I have never been mad at the man. He occasionally says some things, but they just make me laugh, because Jackson spirit is pure. Walk into the presence of Jackson and you will feel the presence of Jesus. Of Jesus's joy and loving spirit. Of a spirit that is dynamic. Loving, hilarious, wise, and powerful.
┌──
1.
This entry pairs a crystal structure of Pm6Dy3Y2Th with its calculated XRD peak list. Radiation: Cu Kα X-rays. Structure: DFT lattice parameters and positions (GGA-PBE).

Most intense lines, 2θ from 5° to 70°, sorted by position:
two_theta, I/Imax
16.6, 1
30.4, 100
35.2, 51
50.6, 36
60.2, 36
60.2, 7
63.1, 9
63.2, 3

Cell lengths 6.2514, 10.8154, 11.9485 Å; angles 90.00, 100.05, 90.00 degrees
Space group C2/m (No. 12)
Asymmetric unit:
Pm (0.2455, 0.0000, 0.2500) (multiplicity 4)
Pm (0.2486, 0.1648, 0.7504) (multiplicity 8)
Dy (0.0000, 0.1669, 0.0000) (multiplicity 4)
Dy (0.0000, 0.5000, 0.0000) (multiplicity 2)
Y (0.0000, 0.3333, 0.5000) (multiplicity 4)
Th (0.0000, 0.0000, 0.5000) (multiplicity 2)

=====

2.
This entry pairs a crystal structure of Li3Bi2P5O18 with its calculated XRD peak list. Radiation: Cu Kα X-rays. Structure: DFT lattice parameters and positions (GGA-PBE).

Most intense lines, 2θ from 5° to 70°, sorted by position:
two_theta, I/Imax
11.3, 85
17.5, 39
17.6, 62
18.8, 100
20.0, 32
25.5, 53
26.1, 37
26.8, 50

Cell lengths 6.8369, 9.9625, 11.1490 Å; angles 96.46, 93.85, 90.74 degrees
Space group P-1 (No. 2)
Asymmetric unit:
Li (0.0605, 0.1437, 0.3216) (multiplicity 2)
Li (0.1755, 0.8846, 0.1484) (multiplicity 2)
Li (0.3320, 0.3550, 0.3211) (multiplicity 2)
Bi (0.2355, 0.3492, 0.8914) (multiplicity 2)
Bi (0.3245, 0.7554, 0.4549) (multiplicity 2)
P (0.1543, 0.5789, 0.6910) (multiplicity 2)
P (0.1801, 0.2920, 0.5848) (multiplicity 2)
P (0.2201, 0.0103, 0.8888) (multiplicity 2)
P (0.2753, 0.5800, 0.1458) (multiplicity 2)
P (0.4735, 0.0389, 0.3023) (multiplicity 2)
O (0.0191, 0.1993, 0.5179) (multiplicity 2)
O (0.0232, 0.3348, 0.3024) (multiplicity 2)
O (0.0466, 0.0010, 0.7970) (multiplicity 2)
O (0.0745, 0.4348, 0.6165) (multiplicity 2)
O (0.0998, 0.6804, 0.1382) (multiplicity 2)
O (0.2113, 0.4383, 0.0766) (multiplicity 2)
O (0.2238, 0.9211, 0.9889) (multiplicity 2)
O (0.2364, 0.5433, 0.8184) (multiplicity 2)
O (0.2440, 0.1575, 0.9620) (multiplicity 2)
O (0.2544, 0.2447, 0.7074) (multiplicity 2)
O (0.3252, 0.6311, 0.6260) (multiplicity 2)
O (0.3327, 0.5567, 0.2764) (multiplicity 2)
O (0.3372, 0.1543, 0.2878) (multiplicity 2)
O (0.3534, 0.3151, 0.5093) (multiplicity 2)
O (0.3582, 0.9044, 0.3071) (multiplicity 2)
O (0.3672, 0.9354, 0.5916) (multiplicity 2)
O (0.4180, 0.9858, 0.8216) (multiplicity 2)
O (0.4418, 0.6458, 0.0815) (multiplicity 2)

=====

3.
This entry pairs a crystal structure of RbNp2Se4 with its calculated XRD peak list. Radiation: Cu Kα X-rays. Structure: DFT lattice parameters and positions (GGA-PBE).

Most intense lines, 2θ from 5° to 70°, sorted by position:
two_theta, I/Imax
12.3, 80
22.5, 100
28.6, 68
29.3, 78
31.3, 74
38.3, 56
43.0, 40
43.3, 89

Cell lengths 4.2104, 13.9101, 14.4448 Å; angles 90.00, 90.00, 90.00 degrees
Space group Cmcm (No. 63)
Asymmetric unit:
Rb (0.0000, 0.1055, 0.2500) (multiplicity 4)
Np (0.0000, 0.3661, 0.0641) (multiplicity 8)
Se (0.0000, 0.0000, 0.0000) (multiplicity 4)
└──
Powerful... not an adjective many would use to describe my friend. But, I would say that you haven't seen that serious side of Jackson. Anyone who has heard Jackson speak of his faith or his ministry knows what I mean. He is willing to do anything for kids to meet the Lord, and he does not shy away from the charge that the Lord has given him. Ask Jackson about an issue in the Bible and listen. Because if you don't, you will miss out. Listen to the passion and knowledge of the severity of decision's in Christ that are often masked by his carefree spirit. That is power. The power Jackson knows he has in Christ.
For those readers of the blog that may not know Jack personally, let me give you a little breakdown; He is tall, lanky, and a little bit goofy. Loves rap music. Dances with his legs right next to one another, leaning back, and arms in the air. A man of funny faces and voices. Whenever Jackson's voice gets high and breaks into falsetto, he is lying. He loves to watch tv when he falls asleep. He loves to sag his pajama pants. He looks terrible in the morning when he wakes up (but quickly recovers). He drives a man van. The most annoying person to play Super Smash with. Can be slightly gullible. Laughs all the time. Smiles just as much. Dances almost as much.
I guess the point that I have been getting at is that Jackson is one of my best friends. I love him. He is a man that would do anything for me. He is deep. He is light-hearted. He is funny. ...He is also not funny a lot of the time. Basically, if you want to feel the Holy Spirit's presence, hang out with Jackson. If you want to see a joy in the Lord that mirrors a child's love for a father, hang out with Jackson. Go up to him, dap him up, and say, "Jack, whatchu gon?". Instant love. Encourage him to share some of his wisdom, because he has a lot of it. Accept his dumb jokes, and laugh at his funny ones, because you're guaranteed to get both. Try to see things through his eyes; joyfully and that the world is full of life and promise. I want to apologize right out. I am sorry that you cannot live with this man, or any of my brothers at Willard. Because, the Lord is truly evident in each and every one of them in different ways.
Jackson. I love you.

Lacing up my kick's,